## Material
~~~
Diffraction record for Li5NiOF5. The PXRD pattern is computed, not measured: it uses a DFT-relaxed cell (GGA+U, the Materials Project) and Cu Kα, 1.54184 Å.

Structural model:
```
data_Li5NiOF5
_chemical_formula_sum 'Li20 Ni4 O4 F20'
_cell_length_a 3.211
_cell_length_b 5.485
_cell_length_c 30.377
_cell_angle_alpha 84.96
_cell_angle_beta 87.02
_cell_angle_gamma 89.94
_symmetry_space_group_name_H-M 'P 1'
_symmetry_Int_Tables_number 1
loop_
_symmetry_equiv_pos_as_xyz
'x,y,z'
loop_
_atom_site_label
_atom_site_type_symbol
_atom_site_fract_x
_atom_site_fract_y
_atom_site_fract_z
Li1 Li 0.000 0.000 0.000
Li2 Li 0.039 0.704 0.919
Li3 Li 0.128 0.794 0.746
Li4 Li 0.168 0.169 0.664
Li5 Li 0.209 0.874 0.582
Li6 Li 0.250 0.250 0.501
Li7 Li 0.289 0.955 0.420
Li8 Li 0.378 0.044 0.245
Li9 Li 0.419 0.419 0.163
Li10 Li 0.459 0.124 0.082
Li11 Li 0.499 0.500 0.001
Li12 Li 0.540 0.203 0.919
Li13 Li 0.627 0.292 0.746
Li14 Li 0.668 0.668 0.664
Li15 Li 0.709 0.375 0.582
Li16 Li 0.750 0.750 0.501
Li17 Li 0.789 0.455 0.420
Li18 Li 0.878 0.544 0.245
Li19 Li 0.919 0.919 0.163
Li20 Li 0.959 0.625 0.082
Ni1 Ni 0.085 0.089 0.828
Ni2 Ni 0.337 0.337 0.328
Ni3 Ni 0.589 0.591 0.829
Ni4 Ni 0.837 0.837 0.328
O1 O 0.098 0.763 0.812
O2 O 0.346 0.011 0.310
O3 O 0.593 0.260 0.812
O4 O 0.846 0.510 0.310
F1 F 0.009 0.671 0.981
F2 F 0.047 0.047 0.904
F3 F 0.137 0.138 0.726
F4 F 0.178 0.842 0.645
F5 F 0.218 0.219 0.564
F6 F 0.259 0.923 0.483
F7 F 0.298 0.299 0.403
F8 F 0.387 0.388 0.226
F9 F 0.428 0.093 0.145
F10 F 0.468 0.470 0.064
F11 F 0.509 0.176 0.982
F12 F 0.549 0.548 0.899
F13 F 0.637 0.637 0.727
F14 F 0.678 0.343 0.645
F15 F 0.718 0.719 0.564
F16 F 0.759 0.423 0.483
F17 F 0.798 0.799 0.403
F18 F 0.887 0.888 0.226
F19 F 0.928 0.593 0.145
F20 F 0.969 0.969 0.063
```

Most intense lines, 5° ≤ 2θ ≤ 70°, low angle first:
(hkl), 2θ/deg, intensity
0 0 2, 5.85, 100
0 0 4, 11.71, 25
0 0 6, 17.61, 11
1 -1 0, 32.31, 20
0 2 1, 32.65, 10
1 1 3, 32.86, 11
1 1 -3, 34.48, 9
0 0 12, 35.65, 16
1 -1 6, 37.02, 8
-1 1 8, 40.37, 7
1 1 -11, 48.85, 7
1 3 2, 58.05, 9

***

Diffraction record for KCoO2. The PXRD pattern is computed, not measured: it uses a DFT-relaxed cell (GGA+U, the Materials Project) and Cu Kα, 1.54184 Å.

Structural model:
```
data_KCoO2
_chemical_formula_sum 'K2 Co2 O4'
_cell_length_a 3.848
_cell_length_b 3.848
_cell_length_c 8.002
_cell_angle_alpha 90.00
_cell_angle_beta 90.00
_cell_angle_gamma 90.00
_symmetry_space_group_name_H-M 'P 1'
_symmetry_Int_Tables_number 1
loop_
_symmetry_equiv_pos_as_xyz
'x,y,z'
loop_
_atom_site_label
_atom_site_type_symbol
_atom_site_fract_x
_atom_site_fract_y
_atom_site_fract_z
K1 K 0.250 0.250 0.159
K2 K 0.750 0.750 0.841
Co1 Co 0.250 0.250 0.593
Co2 Co 0.750 0.750 0.407
O1 O 0.250 0.250 0.811
O2 O 0.250 0.750 0.500
O3 O 0.750 0.250 0.500
O4 O 0.750 0.750 0.189
```

Most intense lines, 5° ≤ 2θ ≤ 70°, low angle first:
(hkl), 2θ/deg, intensity
0 0 1, 11.06, 78
1 0 2, 32.28, 100
1 1 0, 32.92, 74
0 0 3, 33.60, 12
1 0 3, 41.18, 18
2 0 0, 47.24, 42
2 0 1, 48.67, 7
1 1 4, 57.15, 17
2 1 2, 58.37, 33
2 1 3, 64.43, 9
1 1 5, 67.95, 14
2 2 0, 69.03, 11

***

Diffraction record for Li9Mn2Co5O16. The PXRD pattern is computed, not measured: it uses a DFT-relaxed cell (GGA+U, the Materials Project) and Cu Kα, 1.54184 Å.

Structural model:
```
data_Li9Mn2Co5O16
_chemical_formula_sum 'Li9 Mn2 Co5 O16'
_cell_length_a 4.988
_cell_length_b 7.746
_cell_length_c 7.990
_cell_angle_alpha 100.20
_cell_angle_beta 97.90
_cell_angle_gamma 103.32
_symmetry_space_group_name_H-M 'P 1'
_symmetry_Int_Tables_number 1
loop_
_symmetry_equiv_pos_as_xyz
'x,y,z'
loop_
_atom_site_label
_atom_site_type_symbol
_atom_site_fract_x
_atom_site_fract_y
_atom_site_fract_z
Li1 Li 0.000 0.000 0.000
Li2 Li 0.000 0.245 0.751
Li3 Li 0.481 0.613 0.368
Li4 Li 0.493 0.366 0.621
Li5 Li 0.493 0.867 0.122
Li6 Li 0.502 0.122 0.875
Li7 Li 0.984 0.489 0.491
Li8 Li 0.989 0.734 0.246
Li9 Li 0.993 0.366 0.122
Mn1 Mn 0.488 0.739 0.749
Mn2 Mn 0.990 0.865 0.620
Co1 Co 0.492 0.996 0.492
~~~

## Job
Your job: repeat the whole of the notes further up character by character.

## Response
Diffraction record for Li5NiOF5. The PXRD pattern is computed, not measured: it uses a DFT-relaxed cell (GGA+U, the Materials Project) and Cu Kα, 1.54184 Å.

Structural model:
```
data_Li5NiOF5
_chemical_formula_sum 'Li20 Ni4 O4 F20'
_cell_length_a 3.211
_cell_length_b 5.485
_cell_length_c 30.377
_cell_angle_alpha 84.96
_cell_angle_beta 87.02
_cell_angle_gamma 89.94
_symmetry_space_group_name_H-M 'P 1'
_symmetry_Int_Tables_number 1
loop_
_symmetry_equiv_pos_as_xyz
'x,y,z'
loop_
_atom_site_label
_atom_site_type_symbol
_atom_site_fract_x
_atom_site_fract_y
_atom_site_fract_z
Li1 Li 0.000 0.000 0.000
Li2 Li 0.039 0.704 0.919
Li3 Li 0.128 0.794 0.746
Li4 Li 0.168 0.169 0.664
Li5 Li 0.209 0.874 0.582
Li6 Li 0.250 0.250 0.501
Li7 Li 0.289 0.955 0.420
Li8 Li 0.378 0.044 0.245
Li9 Li 0.419 0.419 0.163
Li10 Li 0.459 0.124 0.082
Li11 Li 0.499 0.500 0.001
Li12 Li 0.540 0.203 0.919
Li13 Li 0.627 0.292 0.746
Li14 Li 0.668 0.668 0.664
Li15 Li 0.709 0.375 0.582
Li16 Li 0.750 0.750 0.501
Li17 Li 0.789 0.455 0.420
Li18 Li 0.878 0.544 0.245
Li19 Li 0.919 0.919 0.163
Li20 Li 0.959 0.625 0.082
Ni1 Ni 0.085 0.089 0.828
Ni2 Ni 0.337 0.337 0.328
Ni3 Ni 0.589 0.591 0.829
Ni4 Ni 0.837 0.837 0.328
O1 O 0.098 0.763 0.812
O2 O 0.346 0.011 0.310
O3 O 0.593 0.260 0.812
O4 O 0.846 0.510 0.310
F1 F 0.009 0.671 0.981
F2 F 0.047 0.047 0.904
F3 F 0.137 0.138 0.726
F4 F 0.178 0.842 0.645
F5 F 0.218 0.219 0.564
F6 F 0.259 0.923 0.483
F7 F 0.298 0.299 0.403
F8 F 0.387 0.388 0.226
F9 F 0.428 0.093 0.145
F10 F 0.468 0.470 0.064
F11 F 0.509 0.176 0.982
F12 F 0.549 0.548 0.899
F13 F 0.637 0.637 0.727
F14 F 0.678 0.343 0.645
F15 F 0.718 0.719 0.564
F16 F 0.759 0.423 0.483
F17 F 0.798 0.799 0.403
F18 F 0.887 0.888 0.226
F19 F 0.928 0.593 0.145
F20 F 0.969 0.969 0.063
```

Most intense lines, 5° ≤ 2θ ≤ 70°, low angle first:
(hkl), 2θ/deg, intensity
0 0 2, 5.85, 100
0 0 4, 11.71, 25
0 0 6, 17.61, 11
1 -1 0, 32.31, 20
0 2 1, 32.65, 10
1 1 3, 32.86, 11
1 1 -3, 34.48, 9
0 0 12, 35.65, 16
1 -1 6, 37.02, 8
-1 1 8, 40.37, 7
1 1 -11, 48.85, 7
1 3 2, 58.05, 9

***

Diffraction record for KCoO2. The PXRD pattern is computed, not measured: it uses a DFT-relaxed cell (GGA+U, the Materials Project) and Cu Kα, 1.54184 Å.

Structural model:
```
data_KCoO2
_chemical_formula_sum 'K2 Co2 O4'
_cell_length_a 3.848
_cell_length_b 3.848
_cell_length_c 8.002
_cell_angle_alpha 90.00
_cell_angle_beta 90.00
_cell_angle_gamma 90.00
_symmetry_space_group_name_H-M 'P 1'
_symmetry_Int_Tables_number 1
loop_
_symmetry_equiv_pos_as_xyz
'x,y,z'
loop_
_atom_site_label
_atom_site_type_symbol
_atom_site_fract_x
_atom_site_fract_y
_atom_site_fract_z
K1 K 0.250 0.250 0.159
K2 K 0.750 0.750 0.841
Co1 Co 0.250 0.250 0.593
Co2 Co 0.750 0.750 0.407
O1 O 0.250 0.250 0.811
O2 O 0.250 0.750 0.500
O3 O 0.750 0.250 0.500
O4 O 0.750 0.750 0.189
```

Most intense lines, 5° ≤ 2θ ≤ 70°, low angle first:
(hkl), 2θ/deg, intensity
0 0 1, 11.06, 78
1 0 2, 32.28, 100
1 1 0, 32.92, 74
0 0 3, 33.60, 12
1 0 3, 41.18, 18
2 0 0, 47.24, 42
2 0 1, 48.67, 7
1 1 4, 57.15, 17
2 1 2, 58.37, 33
2 1 3, 64.43, 9
1 1 5, 67.95, 14
2 2 0, 69.03, 11

***

Diffraction record for Li9Mn2Co5O16. The PXRD pattern is computed, not measured: it uses a DFT-relaxed cell (GGA+U, the Materials Project) and Cu Kα, 1.54184 Å.

Structural model:
```
data_Li9Mn2Co5O16
_chemical_formula_sum 'Li9 Mn2 Co5 O16'
_cell_length_a 4.988
_cell_length_b 7.746
_cell_length_c 7.990
_cell_angle_alpha 100.20
_cell_angle_beta 97.90
_cell_angle_gamma 103.32
_symmetry_space_group_name_H-M 'P 1'
_symmetry_Int_Tables_number 1
loop_
_symmetry_equiv_pos_as_xyz
'x,y,z'
loop_
_atom_site_label
_atom_site_type_symbol
_atom_site_fract_x
_atom_site_fract_y
_atom_site_fract_z
Li1 Li 0.000 0.000 0.000
Li2 Li 0.000 0.245 0.751
Li3 Li 0.481 0.613 0.368
Li4 Li 0.493 0.366 0.621
Li5 Li 0.493 0.867 0.122
Li6 Li 0.502 0.122 0.875
Li7 Li 0.984 0.489 0.491
Li8 Li 0.989 0.734 0.246
Li9 Li 0.993 0.366 0.122
Mn1 Mn 0.488 0.739 0.749
Mn2 Mn 0.990 0.865 0.620
Co1 Co 0.492 0.996 0.492